Given:
~~~
[1]
Below is 2 unconnected molecules or ions with the total composition CH3FN2OS at a distorted geometry, with properties calculated with the ωB97M-V functional and the def2-TZVPD basis.

Values from the calculation:
HOMO energy: -9.3 eV
frontier orbital gap: 0.3005 hartree
SMILES: [H]/N=C\F.ON=S

XYZ file:
```
9
Properties=species:S:1:pos:R:3:forces:R:3
H 0.6450 1.2722 0.8224 -0.286 0.278 0.460
N 0.0187 1.0865 0.0500 0.306 0.038 -0.452
C -0.6034 0.0277 0.1296 -1.468 -0.799 -1.731
F -0.7574 -0.7604 1.1985 0.431 -0.275 0.727
H -1.1431 -0.4730 -0.7329 0.430 0.944 0.961
O 2.2432 -1.4580 -0.4728 2.514 0.823 0.843
N 2.4375 -0.1151 -0.0604 -1.113 -1.540 -0.676
S 3.8931 0.2020 0.2710 1.075 0.160 0.269
H 1.3648 -1.5545 -0.7762 -1.888 0.370 -0.401
```
Forces are in eV/Å.

---

[2]
Below is a molecular structure, C6H16N2 at a distorted geometry, with properties calculated with the ωB97M-V functional and the def2-TZVPD basis.

Values from the calculation:
HOMO energy: -8.8 eV
frontier orbital gap: 0.3563 hartree

XYZ file:
```
24
Properties=species:S:1:pos:R:3:forces:R:3
C 2.2345 2.5194 -0.8399 0.455 -0.706 0.202
C 1.9748 1.0501 -1.1948 -1.496 0.277 -0.271
N 1.0081 0.4008 -0.2540 1.767 0.745 -1.158
C 1.8067 -0.0393 0.8733 0.688 -0.384 1.837
C 0.2437 -0.6022 -0.9481 -0.868 -0.845 -0.461
C -0.8961 -1.1790 -0.1029 1.491 -3.796 1.877
N -1.1272 -0.8824 1.1593 -1.273 1.932 -4.506
C -4.6584 -1.3200 1.2385 0.109 0.549 -0.597
H 3.2103 2.5950 -0.3549 -0.046 0.377 -0.098
H 2.2124 3.1021 -1.7704 0.059 0.144 0.543
H 1.4751 2.8262 -0.1175 0.009 0.265 -0.310
H 1.4313 1.0598 -2.1399 0.375 -0.156 -0.266
H 2.9078 0.4634 -1.2910 -0.391 0.130 -0.042
H 2.1283 0.7728 1.5434 -0.857 0.453 -0.310
H 1.2584 -0.7223 1.5159 -0.060 -0.053 -0.060
H 2.8446 -0.4515 0.7490 -0.872 -0.396 -1.145
H -0.2173 -0.3360 -1.9209 0.441 0.964 0.411
H 0.8418 -1.4750 -1.3080 -0.162 0.005 0.698
H -1.2180 0.0551 0.5484 0.799 0.874 3.261
H -1.1948 -2.1886 -0.4629 -0.004 0.184 -0.206
H -4.9626 -2.1153 1.9089 0.127 -0.102 -0.013
H -3.8414 -1.5911 0.5737 0.129 -0.384 0.289
H -4.3262 -0.4382 1.7864 -0.138 -0.115 0.119
H -5.4737 -1.0444 0.5725 -0.281 0.040 0.207
```
Forces are in eV/Å.

---

[3]
Below is 10 unconnected molecules or ions with the total composition C24H59N2O10S9 at a distorted geometry, with properties calculated with the ωB97M-V functional and the def2-TZVPD basis.

Values from the calculation:
charge: +1
HOMO energy: -9.7 eV
frontier orbital gap: 0.1910 hartree

XYZ file:
```
104
Properties=species:S:1:pos:R:3:forces:R:3
N 2.9750 1.5666 5.7982 -6.872 5.613 -8.409
C 2.2250 2.1687 4.8981 3.410 -3.707 5.640
O 1.1633 2.7556 4.0185 0.357 -3.862 3.616
C -0.0950 2.0364 4.3851 -3.196 -0.969 1.478
C -1.3684 2.8373 5.0414 0.222 -3.793 -0.628
C -2.7199 1.9631 5.4570 4.204 -2.502 -2.079
C -2.6315 0.3245 5.1781 2.956 1.892 -0.860
C -1.2912 -0.3861 4.5125 -1.353 4.560 1.380
N -0.1193 0.5109 4.1619 -2.946 1.385 1.459
H -1.3109 4.0139 5.2317 -0.057 -3.033 -0.642
H -3.6595 2.4811 5.9523 2.229 -1.197 -1.270
H -3.5126 -0.4101 5.4623 2.036 1.855 -0.679
H -1.2605 -1.5612 4.3583 0.371 2.912 0.080
H 0.7494 0.0502 3.7632 -1.299 0.718 0.409
C -2.2309 4.9717 1.2429 0.121 -0.280 0.109
S -3.4593 5.3972 2.5011 -0.180 0.144 -0.487
O -3.6607 4.1859 3.3622 0.174 -0.116 0.045
C -4.8625 5.4950 1.3637 -0.158 -0.172 0.244
H -1.2667 4.8225 1.7343 -0.113 0.121 0.105
H -2.5231 4.0511 0.7318 -0.097 0.198 0.047
H -2.1470 5.7897 0.5238 -0.084 -0.052 0.106
H -4.9906 4.5417 0.8453 0.160 0.193 0.084
H -4.6912 6.2956 0.6405 -0.014 -0.077 0.115
H -5.7630 5.7168 1.9413 0.222 0.076 0.080
C 6.0337 0.8038 2.2088 -0.180 0.069 0.122
S 4.3023 1.3222 2.1255 0.492 0.215 -0.138
O 3.5337 0.2209 1.4580 -0.060 0.504 0.107
C 4.5589 2.6269 0.8990 -0.144 -0.011 -0.128
H 6.1115 -0.0401 2.8980 -0.058 0.110 -0.208
H 6.3795 0.4961 1.2190 -0.134 0.017 0.154
H 6.6443 1.6303 2.5795 -0.160 0.033 -0.002
H 4.9965 2.2053 -0.0091 -0.029 -0.063 0.127
H 5.2186 3.3926 1.3131 -0.055 -0.112 0.047
H 3.5912 3.0744 0.6604 0.079 -0.105 0.085
~~~

Assignment:
The reader should echo only the last part of the data further above, starting with the line that has "1.0081 0.4008".

Solution:
N 1.0081 0.4008 -0.2540 1.767 0.745 -1.158
C 1.8067 -0.0393 0.8733 0.688 -0.384 1.837
C 0.2437 -0.6022 -0.9481 -0.868 -0.845 -0.461
C -0.8961 -1.1790 -0.1029 1.491 -3.796 1.877
N -1.1272 -0.8824 1.1593 -1.273 1.932 -4.506
C -4.6584 -1.3200 1.2385 0.109 0.549 -0.597
H 3.2103 2.5950 -0.3549 -0.046 0.377 -0.098
H 2.2124 3.1021 -1.7704 0.059 0.144 0.543
H 1.4751 2.8262 -0.1175 0.009 0.265 -0.310
H 1.4313 1.0598 -2.1399 0.375 -0.156 -0.266
H 2.9078 0.4634 -1.2910 -0.391 0.130 -0.042
H 2.1283 0.7728 1.5434 -0.857 0.453 -0.310
H 1.2584 -0.7223 1.5159 -0.060 -0.053 -0.060
H 2.8446 -0.4515 0.7490 -0.872 -0.396 -1.145
H -0.2173 -0.3360 -1.9209 0.441 0.964 0.411
H 0.8418 -1.4750 -1.3080 -0.162 0.005 0.698
H -1.2180 0.0551 0.5484 0.799 0.874 3.261
H -1.1948 -2.1886 -0.4629 -0.004 0.184 -0.206
H -4.9626 -2.1153 1.9089 0.127 -0.102 -0.013
H -3.8414 -1.5911 0.5737 0.129 -0.384 0.289
H -4.3262 -0.4382 1.7864 -0.138 -0.115 0.119
H -5.4737 -1.0444 0.5725 -0.281 0.040 0.207
```
Forces are in eV/Å.

---

[3]
Below is 10 unconnected molecules or ions with the total composition C24H59N2O10S9 at a distorted geometry, with properties calculated with the ωB97M-V functional and the def2-TZVPD basis.

Values from the calculation:
charge: +1
HOMO energy: -9.7 eV
frontier orbital gap: 0.1910 hartree

XYZ file:
```
104
Properties=species:S:1:pos:R:3:forces:R:3
N 2.9750 1.5666 5.7982 -6.872 5.613 -8.409
C 2.2250 2.1687 4.8981 3.410 -3.707 5.640
O 1.1633 2.7556 4.0185 0.357 -3.862 3.616
C -0.0950 2.0364 4.3851 -3.196 -0.969 1.478
C -1.3684 2.8373 5.0414 0.222 -3.793 -0.628
C -2.7199 1.9631 5.4570 4.204 -2.502 -2.079
C -2.6315 0.3245 5.1781 2.956 1.892 -0.860
C -1.2912 -0.3861 4.5125 -1.353 4.560 1.380
N -0.1193 0.5109 4.1619 -2.946 1.385 1.459
H -1.3109 4.0139 5.2317 -0.057 -3.033 -0.642
H -3.6595 2.4811 5.9523 2.229 -1.197 -1.270
H -3.5126 -0.4101 5.4623 2.036 1.855 -0.679
H -1.2605 -1.5612 4.3583 0.371 2.912 0.080
H 0.7494 0.0502 3.7632 -1.299 0.718 0.409
C -2.2309 4.9717 1.2429 0.121 -0.280 0.109
S -3.4593 5.3972 2.5011 -0.180 0.144 -0.487
O -3.6607 4.1859 3.3622 0.174 -0.116 0.045
C -4.8625 5.4950 1.3637 -0.158 -0.172 0.244
H -1.2667 4.8225 1.7343 -0.113 0.121 0.105
H -2.5231 4.0511 0.7318 -0.097 0.198 0.047
H -2.1470 5.7897 0.5238 -0.084 -0.052 0.106
H -4.9906 4.5417 0.8453 0.160 0.193 0.084
H -4.6912 6.2956 0.6405 -0.014 -0.077 0.115
H -5.7630 5.7168 1.9413 0.222 0.076 0.080
C 6.0337 0.8038 2.2088 -0.180 0.069 0.122
S 4.3023 1.3222 2.1255 0.492 0.215 -0.138
O 3.5337 0.2209 1.4580 -0.060 0.504 0.107
C 4.5589 2.6269 0.8990 -0.144 -0.011 -0.128
H 6.1115 -0.0401 2.8980 -0.058 0.110 -0.208
H 6.3795 0.4961 1.2190 -0.134 0.017 0.154
H 6.6443 1.6303 2.5795 -0.160 0.033 -0.002
H 4.9965 2.2053 -0.0091 -0.029 -0.063 0.127
H 5.2186 3.3926 1.3131 -0.055 -0.112 0.047
H 3.5912 3.0744 0.6604 0.079 -0.105 0.085